Wednesday, June 23, 2010

May the Best Man Win.

What happened to this "historical" phrase? As of late, it's all about pessimism and just trying not to sink as low as the other guy.

Not too long ago, we could flip on the TV during the summer and see some political ad campaigns, and see a candidate saying how good he would be and what "good things" he'd do if he made it into office. No prob. I like that.

We'll see two candidates doing everything except physically decapitating or murdering each other.

Wait, what?


Candidate X (X): Why don't you want Candidate Y (Y) in office? BECAUSE! He supported abortion, or he opposed prop 8, or he used tax payers money to buy things for his house or go on holiday with his family to Cozumel, etc etc etc.

First of all, we should know they take our money and get a car or a new gold-plated hot tub or that rare, overly-priced Monet or Picasso. Whatever, who cares.


Why are these negative subjects needed? Are you that terrible of a person that you can't toot your own horn, and say what you do well. They just have to say what Y does worst. Have a little confidence, ya turd!

I even saw an ad where X said Y was too Democratic! HA! Um...

# Here the article breaks off for data records
{
  "formula": "C4H9NO2S",
  "method": "wB97M-V/def2-TZVPD",
  "homo_energy_ev": -8.2,
  "e_lumo_ha": 0.019,
  "smiles": "NC(=S)COCCO",
  "gap_ha": 0.32240,
  "de_lowest_kcal_mol": 64.1,
  "symbols": ["N", "C", "S", "C", "O", "C", "C", "O", "H", "H", "H", "H", "H", "H", "H", "H", "H"],
  "positions_angstrom": [[1.27143, 1.49676, -0.10061], [2.06485, 0.43810, -0.20183], [3.67292, 0.12559, 0.05952], [1.41737, -0.90906, -0.47367], [-0.04241, -0.99360, -0.65353], [-0.87228, -0.82131, 0.46144], [-2.12120, -0.04785, 0.15310], [-1.79628, 1.29568, -0.30065], [0.31377, 1.43163, -0.40151], [1.73304, 2.27795, 0.61621], [1.72413, -1.55642, 0.35281], [1.85937, -1.47823, -1.26659], [-1.29212, -1.71302, 0.94820], [-0.30644, -0.38876, 1.43842], [-2.62547, -0.05880, 1.14234], [-2.65490, -0.64299, -0.62854], [-2.34578, 1.54434, -1.14510]],
  "forces_ev_per_a": [[3.39, 2.38, 2.83], [-0.10, -2.04, -0.17], [0.09, 1.49, 0.25], [-1.98, -0.99, 0.61], [0.96, 0.32, -0.04], [1.38, 0.83, 2.96], [0.50, 0.17, -0.48], [-1.80, 0.06, -2.04], [-0.61, 0.25, 0.40], [-2.15, -2.32, -3.04], [-0.41, 0.32, 0.42], [0.05, 0.40, -1.02], [0.41, -0.77, -0.69], [-0.91, -0.31, -2.39], [-0.42, 0.42, -0.82], [0.03, 0.74, 0.64], [1.54, -0.94, 2.59]]
}

----------

Entry 1:
# C46H85BrF4N2O13S

A 4-piece molecular cluster, C46H85BrF4N2O13S overall in a non-equilibrium geometry (wB97M-V/def2-TZVPD, OMol25).

Properties
Total charge = 0
Largest force on an atom = 13.61 eV/Å
SMILES = CCCCCCCC[C@]1(Cc2ccc(C)cc2)[C@@](N)(CCF)[C@@H](C[C@@H](C)Br)[C@](F)(S(=O)(=O)F)[N@@+]1(C(=O)[O-])[C@H](C)F.COCCOCCOC.COCCOCCOC.COCCOCCOC
Orbital gap = 6.370 eV
E = -170394.6265 eV

CARTESIAN COORDINATES (ANGSTROEM)
C: 5.480 -3.408 -1.785
C: 4.573 -2.427 -2.741
C: 2.951 -2.829 -2.694
C: 2.154 -1.370 -2.636
C: 0.575 -1.699 -2.929
C: -0.270 -0.327 -2.481
C: -1.664 -0.714 -1.637
C: -1.708 0.069 -0.205
C: -2.490 -0.678 1.072
C: -3.670 -1.584 0.420
C: -4.723 -1.021 -0.653
C: -4.929 0.453 -1.302
C: -6.060 0.864 -2.459
C: -7.102 -0.315 -3.023
C: -8.204 0.035 -4.203
C: -6.913 -1.803 -2.363
C: -5.795 -2.179 -1.228
C: -3.189 0.402 2.178
N: -3.194 1.834 1.723
C: -4.764 0.235 2.581
C: -5.454 1.622 3.231
F: -6.139 2.454 2.217
C: -2.293 0.515 3.565
C: -2.890 0.211 5.041
C: -2.107 1.139 6.198
C: -2.894 2.536 6.542
Br: -2.115 0.029 7.909
C: -0.991 -0.382 3.001
F: -0.465 -0.805 4.354
S: 0.284 0.883 2.614
O: -0.172 2.122 1.777
O: 1.608 0.426 1.956
F: 0.810 1.568 4.142
N: -1.526 -1.441 2.030
C: -0.262 -2.077 1.501
O: 0.004 -2.530 0.269
O: 0.894 -2.463 2.390
C: -2.063 -2.672 2.770
C: -2.185 -4.076 1.962
F: -3.330 -2.473 3.500
H: 6.167 -4.077 -2.475
H: 4.750 -4.040 -1.100
H: 6.159 -2.723 -1.111
H: 4.920 -2.389 -3.858
H: 4.663 -1.330 -2.308
H: 2.728 -3.470 -1.717
H: 2.639 -3.450 -3.665
H: 2.581 -0.609 -3.418
H: 2.223 -0.994 -1.514
H: 0.351 -1.894 -4.068
H: 0.226 -2.649 -2.340
H: -0.574 0.178 -3.520
H: 0.395 0.461 -1.930
H: -2.534 -0.406 -2.395
H: -1.674 -1.878 -1.598
H: -2.111 1.130 -0.469
H: -0.547 0.240 0.020
H: -4.351 -2.148 1.227


I mean that can't always be a good thing if someone is an extremist in that sense, but come on. Really? Too Democratic? That's all you got?

You suck, let's see some positives, eh?

Saturday, June 12, 2010

Gorgeous Day

So, today is a beautiful day outside. What could possibly make it terrible in any sort of way?

Two words, when combined, make one of the worst, most disgusting phrases since cavemen invented fire:

Long Lines.


Not, just checking out in your normal visit to Target or the convenience store. NO. But everywhere.

To sit down at a restaurant
Waiting 3-4 rotations of red lights just to make it through this one light!
Being on hold!!! Even from a business that has 7 clients TOTAL!

Can we have ways of better fluidity as a society, please!? Is this too much to ask? Oh, boy.

You know what makes these lines worse, though?

What I like to call "rubber-neckers" or "line shufflers"

We all know what rubber-neckers are. The ones who are all over the line looking at magazines or chewing gum, thinking, "I wonder if I'm in the mood for Insane Strawberry, or Wacky Watermelon..." or whatnot, and completely unaware of the line they chose to partake of.

Line shufflers really pluck my nose hair. These are the ones that say, "Oh crap, I forgot mustard, or my kitty litter for Mr. Fluffles!" Then, they feel it's ok to quick run and get it, and to mark their spot, they leave their 7 year old chubby son, who has a name like Melvin or Bobby Jr., who already devoured his king size Butterfinger, even on his left eyebrow! Left eyebrow! How do you get food up there!? OR to EXPECT their spot back in line after returning from their late-minded pickup. I hate you line shufflers. Go away.

stepping down.

Wednesday, June 2, 2010


How's about this? I was going to make this my Friday post, but I absolutely had to skip it ahead to today. Why is replay not more implemented in sports!?

Poor Armando Galarraga.

Poor Detroit Tigers.

Neither have had such a pitching performance in their histories. And what happened. Blown call that couldn't be reversed by replay.

Thank you Jim Joyce.

Could be the worst call since we started filming sports.

The only positive that could come out of this is a big one, however. We see time after time in sports, referees and umps alike, making bad/poor calls.

They're human. They make mistakes. Why can't we accept a little humility and bring replay more into sports? This is pathetic trying to "preserve" sports integrity by not adding such technology and "help" to teams. That's complete baloney/bologna (whichever makes you happier) because sports have evolved so much even in the past 15 years. We need to evolve our referring and judging of these games.

This is what is infuriating me today.